- Nov 2024
teachersandwritersmagazine.org teachersandwritersmagazine.org
They have experienced linguistic discrimination, and now, for the first time, writing can be easier for them with AI. It is, one could argue, making things more equitable.
Ethical concerns and arguments of AI use. This is arguing that using AI can make writing more fair to all, relieving linguistic discrimination.
AI is plagiarism
Saying AI is plagiarism, plagiarism is no good when it comes to academics.
- Sep 2023
www.repubblica.it www.repubblica.it
Die EU hat seit 1995 1500 Milliarden Euro in der Straßennetz investiert 66% mehr als in das Eisenbahnnetz. Während das Autobahnnetz um 60% ausgebaut wurde, wurde das Eisenbahnnetz um 6,5% reduziert. Die Treibhausgasemissionen des Verkehrs wuchsen zwischen 1995 und 2019 um 15%. Die Zahlen stammen aus einer umfassenden Studie zur Entwicklung der europäischen Verkehrsinfrastruktur vielleicht aber doch Infrastruktur oder, die von Greenpeace in Auftrag gegeben wurde
- expert: Federico Spadini
- country: EU
- study: Development of Transport Infrastructure in Europe
- NGO: Greenpeace
- institution: T3 Transportation Think Tank
- institution: Wuppertal Institut
- 2023-09-19
repubblica.it/green-and-blue/2023/09/19/news/greenpeace_trasporti_europa_autostrade_treni-415017423/ -
- Apr 2021
www.mansionglobal.com www.mansionglobal.com
op irrigation and drainage, multiple outdoor decks and terraces spanning more than 2,000 square feet, and a pool with a spa, according to the listing with Benjamin Illulian of Keller Williams. More: Jeff Bezos Drops $16 Million on Another Manhattan Pad to Create a ‘Vertical’ Dream Home Interior space is divided into four bedrooms, four bathrooms, formal living and dining rooms and an eat-in kitchen. The property is equipped with smart home appliances, and comes with 50 feet of curb frontage. Plus, it’s just steps away from popular shops and restaurants, the listing said. Mr. Illulian, who listed the property for $5.195 million in December 2019, didn’t respond to a request for comment. From: Penta Art Museums Given Leeway in Funding Mr. Legend, 41, a singer and music producer, and Ms. Teigen, 34, a model and TV personality, could not immediately be reached for comment. The couple recently purchased a Manhattan apartment—their second in the same building. Marshall Peck of Douglas Elliman, who represented the buyers in the deal, declined to comment. if (!window.WEBUI_NEWSLETTERCARDS) { window.WEBUI_NEWSLETTERCARDS = []; } window.WEBUI_NEWSLETTERCARDS.push({ articleId: 'MG0000214176', state: {"data":{},"id":"mg/newsletterCard","context":{"newsletterId":"801","newsletter":{"_id":"5ec24a31d782d55d025c60ae","node_type":"newsletter","edition":"mansionglobal","section":"newsletters","id":"801","label":"Week in Review","description":"Shares the stories you may have missed from the world of luxury real estate","index":2,"previewURL":"","imageURL":"","addURL":"","addLabel":"","subOnly":false,"orderAlphabetic":"","options":"","disableSignup":false},"isLoggedIn":false,"hasFullNewsletterAccess":false,"hasFreeNewsletterAccess":false,"region":"na,us","editionId":"mansionglobal","returnLink":"https://www.mansionglobal.com"},"package":{"accessedContext":[],"nodes":{"0":{"component":{"id":"275181c7-8620-4df3-a008-d0cd9937db22","acceptsTypes":{},"isConditional":false,"$context":{},"decorators":["MGTheme"]},"children":["webUINewsletterCard-0.0"],"treeOrder":1,"name":"0","hierarchy":"0"},"webUINewsletterCard-0.0":{"component":{"content":{},"options":{"productId":200,"captchaSiteKey":"6LcmI7sUAAAAAF-vTKb3JIwIzz2CXCx8hJW0Ukis","origin":"articles_app","returnLink":"https://www.mansionglobal.com","editionId":"mansionglobal","content":{"data":{}}},"decorators":["MGTheme"],"id":"c7081dd6-0394-e7b2-1124-a02c2970agdf","acceptsTypes":{"newsletter_config_data":true},"isConditional":false,"$context":{"./content/newsletter":{"key":[".","content","newsletter"],"value":["#","newsletter"]},"./options/region":{"key":[".","options","region"],"value":["#","region"]},"./options/newsletterId":{"key":[".","options","newsletterId"],"value":["#","newsletterId"]},"./options/userEmail":{"key":[".","options","userEmail"],"value":["#","userEmail"]},"./options/loggedIn":{"key":[".","options","loggedIn"],"value":["#","isLoggedIn"]},"./options/hasFullNewsletterAccess":{"key":[".","options","hasFullNewsletterAccess"],"value":["#","hasFullNewsletterAccess"]},"./options/hasFreeNewsletterAccess":{"key":[".","options","hasFreeNewsletterAccess"],"value":["#","hasFreeNewsletterAccess"]},"./options/content/data/list":{"key":[".","options","content","data","list"],"value":["#","newsletter"]}}},"name":"webUINewsletterCard-0.0","treeOrder":2,"hierarchy":"0"}},"root":"0","states":{"nodes":[],"data":[],"hierarchy":{},"dedupeGroups":{},"components":{"code___decoratedComponent___275181c7-8620-4df3-a008-d0cd9937db22___MGTheme":{"id":"275181c7-8620-4df3-a008-d0cd9937db22","decorators":["MGTheme"]},"code___decoratedComponent___c7081dd6-0394-e7b2-1124-a02c2970agdf___MGTheme":{"id":"c7081dd6-0394-e7b2-1124-a02c2970agdf","decorators":["MGTheme"]}}},"refreshInterval":null},"currentState":{"data":[],"nodes":{},"hierarchy":{},"dedupeGroups":{},"components":{"code___decoratedComponent___275181c7-8620-4df3-a008-d0cd9937db22___MGTheme":{"id":"275181c7-8620-4df3-a008-d0cd9937db22","decorators":["MGTheme"]},"code___decoratedComponent___c7081dd6-0394-e7b2-1124-a02c2970agdf___MGTheme":{"id":"c7081dd6-0394-e7b2-1124-a02c2970agdf","decorators":["MGTheme"]}}}} }); Newsletter Sign-up Week in Review Shares the stories you may have missed from the world of luxury real estate PREVIEWSUBSCRIBE window.INITIAL_PROPS_NEWSLETTER_BOTTOM_COL = {} NEW LISTINGS SINGLE FAMILY HOME LOS ANGELES
- Feb 2020
www.ncbi.nlm.nih.gov www.ncbi.nlm.nih.gov
Figure 1c. Temperature before and after T3 administration (T3 given at time 0 hours)
It appears that the liothyronine could have advanced the phase of circadian temperature. However, since the study had no controls, it is impossible to confirm this hypothesis.
Half-life22.04 hours
It appears they are calculating based on total T3 rather than added T3. Assuming that the conversion of T4 to T3 remains constant, the half life of the liothyronine dose towards baseline is less than 10 hours (I'd estimate 5-7 hours). Given that this is short compared to other studies, it is likely that the conversion was slowed by the high thyroid status.
- Jan 2020
www.ncbi.nlm.nih.gov www.ncbi.nlm.nih.gov
The present study shows that daily administration of T3 was associated with peaks and troughs in T3 concentration. However, TSH and fT4 remained steady on both a weekly and hourly basis.
I'm not sure what they mean here by 'weekly basis' Levels did change on a weekly basis. Hourly, on the other hand, they did not change.
I'm surprised that TSH didn't drop a few hours after liothyronine administration. I see two possible reasons; either TSH is a measure of average thyroid activity, or T3 has slow/delayed effects. If the latter is the case, then there doesn't seem to be any reason to spread out liothyronine doses.
(A)–(C) Changes in markers of thyroid status over the course of the study (mean ± standard error). (D) Changes in treatment preference.
Looks like preference for T3 increased as the number of hyperthyroid symptoms increased. It would be interesting to know if those are the same patients.
Data records that have nothing to do with the page >
=====
36
Properties=species:S:1:pos:R:3:forces:R:3:lowdin_charge:R:1 method="wB97M-V/def2-TZVPD" max_force_ev_per_a=17.43 smiles=CCOc1ccc(CNc2nnnn2C)cc1OC e_tot_ha=-891.2526 lumo_ev=0.4 e_above_lowest_kj_mol=1271.2 charge=0 homo_energy_ev=-8.3
C 0.198669 -0.003876 -4.641342 4.8 5.1 3.1 -0.09
C 0.885322 -1.221707 -4.106387 1.6 4.2 6.0 -0.29
O 0.042372 -2.093780 -3.396535 -2.0 1.5 3.3 -0.13
C -0.518256 -1.422940 -2.167840 -1.0 2.0 -0.1 -0.04
C -1.717277 -0.522432 -2.273365 8.8 -2.4 14.8 0.06
C -2.310083 -0.067252 -0.951304 2.7 -1.5 -1.2 -0.02
C -1.745049 -0.222307 0.318105 6.4 -3.0 -4.4 -0.12
C -2.147132 0.420449 1.565931 14.3 -2.0 1.5 -0.16
N -1.470515 1.724989 1.654961 3.2 0.7 2.5 0.08
C -0.241271 1.619192 2.442415 2.3 -0.8 0.1 -0.24
N 0.410902 0.544140 3.083261 -4.2 0.5 0.0 0.00
N 1.384334 0.977727 3.779987 3.9 1.9 -1.4 -0.04
N 1.785046 2.305990 3.317253 -2.1 -5.3 3.4 0.07
N 0.706938 2.556615 2.677210 -1.4 4.7 -5.1 -0.24
C 0.768374 3.832800 1.934554 -2.8 1.5 -1.4 -0.05
C -0.271938 -0.924919 0.239971 -5.1 2.0 0.0 0.10
C 0.238690 -1.537267 -0.859633 -3.7 0.0 -3.6 -0.30
O 1.263825 -2.305303 -0.722841 4.0 -1.4 2.4 -0.10
C 1.753739 -3.484489 -1.407181 -6.8 6.5 -8.4 0.02
H -0.221051 0.848918 -3.918208 0.6 -2.6 -1.1 0.13
H 0.965331 0.660712 -5.202825 -1.1 -1.4 0.4 0.11
H -0.424840 -0.405743 -5.247343 -5.0 -1.5 -4.4 0.00
H 1.765859 -0.714152 -3.322817 -1.9 -1.9 -1.9 0.18
H 1.340161 -1.854729 -4.737398 1.8 -1.6 -2.9 0.08
H -2.099716 -0.655920 -3.060893 -6.2 -0.7 -11.0 -0.03
H -3.218537 0.399348 -1.051553 -2.2 1.2 -0.1 0.06
H -2.963350 0.583792 1.386526 -16.3 3.3 -2.1 -0.02
H -1.986023 -0.196547 2.441357 0.1 0.3 0.2 0.14
H -1.479262 2.456350 0.891963 0.1 -1.8 1.1 0.16
H -0.245525 4.392659 2.313848 2.6 -0.9 -1.7 0.14
H 1.033641 3.876956 0.741808 -1.8 -1.2 2.4 0.14
H 1.639273 4.407842 2.128084 0.6 0.3 1.7 0.04
H 0.234020 -1.035810 1.147266 0.7 -0.2 1.3 0.07
H 2.306605 -2.980756 -2.340743 -0.6 -1.7 1.9 0.12
H 0.688013 -3.773159 -1.978352 3.2 -0.7 1.6 0.16
H 2.312775 -4.121454 -0.926150 2.5 -3.1 3.3 0.02

***

41
Properties=species:S:1:pos:R:3:forces:R:3:lowdin_charge:R:1 method="wB97M-V/def2-TZVPD" max_force_ev_per_a=0.63 e_tot_ha=-1780.4659 lumo_ev=-4.2 charge=+1 homo_energy_ev=-11.6
Zr 0.481398 -0.918581 -0.489443 0.0 0.3 0.2 1.96
O 6.203650 -0.059520 -1.971945 0.0 0.0 0.0 0.15
C 6.492755 0.923866 -1.144594 -0.1 0.0 0.1 -0.48
O 7.420754 1.574033 -0.806495 0.0 0.0 0.0 0.18
C 5.071437 0.597492 -1.049733 0.0 0.0 0.0 -0.20
C 4.057261 1.310043 -1.827441 0.0 0.0 0.0 0.03
C 2.760574 1.006056 -1.709015 0.0 0.0 0.1 -0.12
N 2.279534 0.065595 -0.801630 0.0 -0.1 -0.1 -0.15
C 3.244112 -0.566915 0.011291 -0.2 0.0 0.0 -0.21
C 4.554923 -0.339157 -0.051694 0.1 0.0 0.0 0.10
C 2.553626 -1.650703 0.813404 0.2 0.2 -0.2 -0.54
O 2.871215 -2.805645 0.753378 0.1 -0.1 0.4 0.16
O 1.352910 -1.228367 1.294373 -0.1 -0.4 -0.5 -0.19
H 4.374674 2.076898 -2.519558 0.0 0.0 0.0 0.13
H 2.008424 1.507939 -2.305399 0.0 0.0 0.0 0.12
H 5.238124 -0.860741 0.604427 0.0 0.0 0.0 0.15
=====
Back to the page >
www.drugwiki.net www.drugwiki.netCytomel1
L-T3 has proven to be 4-5 times more biologically active and to take effect more quickly than L-thyroxine (L-T4).
Will need to check up on that. I recall T4 being less potent.
www.ncbi.nlm.nih.gov www.ncbi.nlm.nih.gov
In an observational study of 14 patients, no subjects developed any cardiac or skeletal disease after receiving doses from 25- to 150mcg over a two-year period.41
Note that the high dose was because they were increasing the dose based on symptoms. That is to say, as the thyroid gland produced less thyroid hormone, they increased liothyronine dose to compensate.
www.ncbi.nlm.nih.gov www.ncbi.nlm.nih.gov
Following this observation, the same group conducted a cross-sectional analysis to assess the association among 140 patients with EE and TH replacement hypothyroid treated with LT4. In this study population, REE did not differ significantly between patients achieving low-normal (TSH ≤ 2.5 μIU/mL) vs high normal TSH (TSH >2.5 μIU/mL). Conversely, free T3 level showed a direct correlation with EE, but also with indices of adiposity including body mass index (BMI), body composition, and fat free mass [49]. This latter observation is consistent with other cross-sectional studies that have clearly defined the positive association between circulating levels of T3 and adiposity [50, 51].
This is consistent with my previous assertion that T3 may result in greater energy expenditure than T4.
The authors demonstrated an inverse correlation between TSH and REE with a change of 15% for a TSH ranging from 0.1 to 10 μIU/mL. Of interest, free T4 remained within the normal range in all of the study volunteers. Nonetheless, the changes in REE with different LT4 doses were demonstrated in every patient [46].
Thus, a 15% expected increase would be reasonable for a euthyroid subject such as myself. However, since T3 reduces weight compared to T4, it is possible the weight loss indicates greater energy expenditure.
- Dec 2019
www.ncbi.nlm.nih.gov www.ncbi.nlm.nih.gov
RESULTS: We observed that poor sleep quality was correlated to low total BMD and legs BMD in middle-aged women after adjusting for potential confounders. Furthermore, when we reran the regression models based on menopausal status in middle-aged women, significant associations between BMD and sleep quality were observed in premenopausal and early postmenopausal groups.
This is exactly what I expected to find. This is why I doubt that there is significant risk to high dose T3 taken in the morning. In fact, given that hypothyroidism is also associated with increased fracture, I'm inclined to think that thyroid hormones per se play no role whatsoever, but rather the downstream effects. That is to say, hyperthyroidism disturbs sleep, thus harming bones. I conclude, then, that so long as sleep quality is maintained, hyperthyroidism is plausibly safe for the bones.
- Mar 2019
www.ncbi.nlm.nih.gov www.ncbi.nlm.nih.gov
SBP, DBP, RR, and weight did not change following T3 administration
Liothyronine does not raise blood pressure despite the rise in heart rate. The reason that respiratory rate (RR) was not changed may be because the increased cardiac output compensates for the increased oxygen demand.
www.ncbi.nlm.nih.gov www.ncbi.nlm.nih.gov
The peak T3 concentration after LT3 administration during week 6 was 292.8 ± 152.3 ng/dL, rising from a baseline value of 96.1 ± 7.6 ng/dL
The T3 half-life, therefore, is only 14.25 hours (14 hours and 15 minutes). I calculated this based on taking the peak value and comparing it to the baseline value 22 hours later.
Since they've been on the same dose during this study period, the baseline value is what's left from yesterday's peak, and can be assumed to be tomorrows trough. Since the drug took 2 hours to peak, there are 22 hours remaining to reach trough/baseline values.
- Aug 2018
www.ncbi.nlm.nih.gov www.ncbi.nlm.nih.gov
AbstractHigh dose thyroid hormone has been in use since the 1930s for the treatment of affective disorders. Despite numerous papers showing benefit, the lack of negative trials and its inclusion in multiple treatment guidelines, high dose thyroid has yet to find wide spread use. The major objection to the use of high dose thyroid is the myth that it causes osteoporosis. This paper reviews the literature surrounding the use of high dose thyroid, both in endocrinology and in psychiatry. High dose thyroid does not appear to be a significant risk factor for osteoporosis while other widely employed psychiatric medications do pose a risk. Psychiatrists are uniquely qualified to do the risk-benefit analyses of high dose thyroid for the treatment of the bipolar I, bipolar II and bipolar NOS. Other specialties do not have the requisite knowledge of the risks of alterative medications or of the mortality and morbidity of the bipolar disorders to do a full risk benefit analysis.
This is all very interesting. It is also true that, in the treatment of depression, there is a relatively low dropout rate due to side effects from treatment with T3 (liothyronine).
liothyronine (T3) augmentation in the treatment of depression
- Jun 2018
www.ncbi.nlm.nih.gov www.ncbi.nlm.nih.gov
Studies reported by Nicoloff and colleagues in 1972 calculated a half-life of T3 that varied with thyroid status (8). The mean half-life was 0.63 days in 7 hyperthyroid patients, 1.0 day in 8 euthyroid individuals, and 1.38 days in 9 hypothyroid patients.
- Apr 2018
www.wilsonssyndrome.com www.wilsonssyndrome.com
There was a boy who was born with congenital hypothyroidism and was raised on traditional T3 (Cytomel). He was never treated with a T4-containing medicine, and so essentially never had a molecule of T4 in his body. By age 26 he had developed normally with no problems.
This is precisely the type of information I was looking for. Wikipedia implied T4 should be taken with long-term T3, but the reasoning was poorly explained. However, I'd like a more official source for this case report.
This case would also express no rT3 (reverse-T3). Thus, it appears that neither T4 nor rT3 serve any vital functions.